Brainstorming … Fast & Fun

How many times have you come out of a brainstorming session feeling unsatisfied with the results?  The team never felt like it got into a rhythm.  The idea flow felt like a drizzle versus a storm.  None of the ideas that the team spent much time on seemed especially good (BTW, you should never spend a lot of time on any one idea in a brainstorming session).  There was one or two people that insisted on dominating the conversation and ended up speaking way too much.  This to the frustration of the rest of the group.  The good news is that there are just a handful of things you need to do to run a productive and fun brainstorming session.  

The overall goal of any brainstorming is to generate a high quantity of ideas.  This is really important … it's all about quantity, NOT quality.  You will have plenty of opportunity after brainstorming to evaluate the quality of the ideas generated and select a winner. 

Records of crystals, kept here for reference.
********
A plane-wave DFT calculation with GGA-PBE was carried out for an optimized crystal structure of Tm2CoGe4.

Unit cell a=4.084 b=8.089 c=8.089 alpha=29.44 beta=90.00 gamma=90.00
Atoms (fractional coordinates):
Tm (0.000, 0.000, 0.000)
Tm (0.500, 0.208, 0.208)
Co (0.000, 0.795, 0.795)
Ge (0.000, 0.364, 0.364)
Ge (0.000, 0.649, 0.649)
Ge (0.500, 0.542, 0.542)
Ge (0.500, 0.863, 0.863)

Output
- Formation energy: -0.619 eV per atom


A plane-wave DFT calculation with GGA-PBE was carried out for an optimized crystal structure of TmCoGe2.

Unit cell a=5.464 b=5.464 c=5.464 alpha=42.99 beta=42.99 gamma=42.99
Atoms (fractional coordinates):
Tm (0.000, 0.000, 0.000)
Co (0.500, 0.500, 0.500)
Ge (0.218, 0.218, 0.218)
Ge (0.782, 0.782, 0.782)

Output
- Formation energy: -0.558 eV per atom


A plane-wave DFT calculation with GGA-PBE was carried out for an optimized crystal structure of Tm4CoGe.

Unit cell a=8.106 b=8.106 c=6.663 alpha=110.07 beta=110.07 gamma=48.56
Atoms (fractional coordinates):
Tm (0.083, 0.164, 0.058)
Tm (0.164, 0.083, 0.558)
Tm (0.325, 0.402, 0.350)
Tm (0.402, 0.325, 0.850)
Tm (0.598, 0.675, 0.150)
Tm (0.675, 0.598, 0.650)
Tm (0.836, 0.917, 0.442)
Tm (0.917, 0.836, 0.942)
Co (0.000, 0.500, 0.000)
Co (0.500, 0.000, 0.500)
Ge (0.261, 0.739, 0.750)
Ge (0.739, 0.261, 0.250)

Output
- Formation energy: -0.328 eV per atom


A plane-wave DFT calculation with GGA-PBE was carried out for an optimized crystal structure of Tm2CoGe3.

Unit cell a=3.938 b=4.195 c=7.035 alpha=90.00 beta=90.00 gamma=90.00
Atoms (fractional coordinates):
Tm (0.000, 0.000, 0.000)
Tm (0.000, 0.500, 0.475)
Co (0.500, 0.000, 0.296)
Ge (0.500, 0.000, 0.621)
Ge (0.500, 0.500, 0.167)
Ge (0.500, 0.500, 0.815)

Output
- Formation energy: -0.596 eV per atom
- Excess energy over the best structure of this formula in the dataset: 0.026 eV per atom


A plane-wave DFT calculation with GGA-PBE was carried out for an optimized crystal structure of Tm2Co5Ge4.

Unit cell a=8.329 b=7.458 c=5.286 alpha=79.63 beta=61.74 gamma=38.63
Atoms (fractional coordinates):
Tm (0.127, 0.127, 0.873)
Tm (0.873, 0.873, 0.127)
Co (0.000, 0.000, 0.500)
Co (0.250, 0.250, 0.250)
Co (0.500, 0.500, 0.000)
Co (0.500, 0.500, 0.500)
Co (0.750, 0.750, 0.750)
Ge (0.213, 0.526, 0.474)
Ge (0.474, 0.787, 0.213)
Ge (0.526, 0.213, 0.787)
Ge (0.787, 0.474, 0.526)

Output
- Formation energy: -0.465 eV per atom


A plane-wave DFT calculation with GGA-PBE was carried out for an optimized crystal structure of TmCo6Ge6.

Unit cell a=6.412 b=6.412 c=6.412 alpha=133.29 beta=104.68 gamma=93.49
Atoms (fractional coordinates):
Tm (0.000, 0.000, 0.000)
Co (0.000, 0.000, 0.500)
Co (0.000, 0.500, 0.000)
Co (0.252, 0.500, 0.752)
Co (0.500, 0.000, 0.000)
Co (0.500, 0.500, 0.500)
Co (0.748, 0.500, 0.248)
Ge (0.168, 0.668, 0.500)
Ge (0.336, 0.336, 0.000)
Ge (0.344, 0.000, 0.344)
Ge (0.656, 0.000, 0.656)
Ge (0.664, 0.664, 0.000)
Ge (0.832, 0.332, 0.500)

Output
- Formation energy: -0.355 eV per atom
********

So if our goal is quantity, what strategies can we employ to accomplish this?  Well, we want to eliminate as many barriers to idea flow as we can.  The two main barriers to idea flow are stress/tension and the left-brain's need to constantly evaluate things.  Like I mentioned in my Mind Mapping post … when you are stressed, it is very difficult to think about anything else other than that feeling of stress and maybe what is causing it.  Therefore, our strategy is to be relaxed and to conduct the brainstorming at such a fast pace, that the left-brain doesn't have time to interrupt our flow.

When brainstorming, the process is broken up into three parts:

  • Setting the Stage
  • Idea Generation
  • Evaluating the Ideas (only if there is time)

Setting the Stage

This is when you communicate the objectives, set the tone for the brainstorming, and instruct everyone on how it will be run.

Make the objective Clear

Ensure that everyone in the room clearly understands what the purpose of the brainstorming is.  What is the issue that you are all generating ideas for?  Write it down as a title at the top of the whiteboard or computer screen.

Setting the Tone

Like I mentioned before, you want the meeting to be relaxed and light-hearted, but at the same time its purpose should be very clear.

It's your facial expressions, body language, and tone that will have the biggest effect over how relaxed the team will be going into the brainstorming session.

Prior to the meeting, do those things that relax you and put you into a great mood.  It could be avoiding that extra cup of coffee, waiting until later to read that upset email from a customer, or reading Dilbert.  Figure out what works for you and do it.  You should also anticipate that the session will be fun and productive.  This"positive visualization" technique used by athletes is very applicable here.

Smile.  If you are already relaxed this won't be hard, and you certainly don't want to force one.  If you smile when explaining how this session will be run, everyone will be more relaxed about it.

This may or may not work for you, but I used to keep a box of toys which I would bring with me to every brainstorming session.  It would contain colorful and simple physical puzzles.  The idea was that toys automatically set a more light-hearted tone in the room.  They also gave people something to fiddle with and didn't require any of their real mental capacity, which I wanted them to save for idea generation.

Brainstorming Instructions

No matter if this is the first, second, tenth, or hundredth session you have had with this group, always start by reviewing the ground rules for the session.  It helps to establish the pace you are after, and it minimizes the chances of anyone being offended by any actions during the session.

These are the instructions you should provide the team before brainstorming begins.

  • Our goal is to fill this [screen | whiteboard | paper] with as many ideas as possible.
  • The faster we can generate ideas, the better.  Let them flow!
  • Any and every idea is welcome, including the crazy ones
  • Don't provide any negative or positive critique of any idea.
  • Mis-spelled words are ok.  Don't break our rhythm to provide spelling corrections.
  • The wrong organization of ideas is ok.  When the ideas are captured in an outline or mind map, it is ok if ideas go in the wrong place.  That can be fixed later.
  • No one idea will be discussed longer than 10 seconds.  Anything that requires more will be listed on the "Discussion List".  The team will return to items on this list when idea generation is done.  We do this because we want to maintain momentum.
  • Interruptions are ok, and even encouraged, so speak up.
  • And HAVE FUN!

Running the Actual Brainstorming Session

Plan to capture the ideas in a way that is comfortable and fast for you, and visible to the entire team.  You could use the whiteboard, a large pad of paper on an easel, in Word or Excel (Pages or Numbers for us Mac folks), or my favorite … mind maps.  Whichever you use is fine, just make sure you are totally fast and comfortable.  The last thing you want to do is slow down the team because you are struggling with the tool.

As facilitator, you can start by expressing the first few ideas.  Say them and capture them quickly.  Prior to the meeting, try to have some ideas in your hip pocket.  You will use them to prime the pump.

If no one else offers up any ideas right away, turn to the team with the best look of anticipation you can muster.  If still nothing, quickly adding some additional ideas of your own.  Do this a couple of times and the ideas should start coming.

You should be quickly writing or typing the ideas.  This will convey the fast pace you wish to achieve in the brainstorming.

If anyone breaks a rule such as criticizing ideas or correcting spelling, just provide a quick and gentle reminder that it isn't necessary and move on.

If anyone begins to settle into a long description of an idea, just say "that's good stuff, but we need to keep our momentum going. Let's come back to that". Then make note of it on the "Discussion List", and then encourage the team to start generating ideas again.

As the momentum of the brainstorming begins to slow just a little bit (don't wait for the momentum to stop completely), add a mind map branch for "absurd", "crazy", or "magic wand".  You are inviting the team to explore broader possibilities, beyond those that are practical or realistic.  This is a great tool that must be included in every brainstorming session.

If you find yourself struggling to capture all the ideas because they are coming so fast … Congratulations, you are running a fantastic brainstorming session!  Let yourself smile in a big way and let the team see that.  It's great positive reinforcement for everyone in the room.

Wrapping up the Session

A really productive brainstorming session usually runs no more than 30 minutes.  I wouldn't put a time constraint on it though.  Just let it run out on its own.  Once the team has decided that idea generation is done, return to those items that were put on the Discussion List.  Let people finish expressing the thoughts that they had earlier.  This could lead to a few more ideas being captured.  Depending on the amount of time remaining, the team may want to identify which of the ideas are the best.  You can do it together as a group or individually after the meeting is done.

But remember, that long list of ideas was the deliverable you were going after.  Having it means that your brainstorming session was a success.


The best way to run a productive brainstorming session is to make it fast and fun.  You make it fun by getting yourself and the team into a relaxed state.  And you make it fast so that your left-brain doesn't have time to stifle your right-brain's creativity.

And remember, to come up with a few high-quality ideas, you must first produce a high-quantity of ideas.  So play the numbers game and generate lots of ideas during your brainstorming sessions.

Good luck, and have fun.

Now It’s Your Turn

  • Do you agree that brainstorming is all about quantity vs. quality?
  • Do you have your own tools for running a productive brainstorming session?
  • Can you recall a great brainstorming session that you participated in, and what made it so great?
  • Conversely, do you remember a bad brainstorming session that you participated in, and what made it so bad?
  • I'm looking forward to hearing your feedback.

[Editor's note: This was originally posted on Rick's peronal blog, Absurdley Ideal.]

25+ year veteran of the CAD industry. Helped conceive and deliver DS SolidWorks products such as eDrawings, FeatureXpert, FilletXpert, DraftXpert, Sustainability, and Augmented Reality in eDrawings. My mission is to come up with new product ideas which are inspired by needs that REALLY matter to technology users.